**Given**
<<<
[1]
This record from Materials Project describes a geometry-optimized RbSb3Se5 structure. The functional is PBE-GGA.

Output
- MP2020-corrected energy: -4.138 eV per atom
- Volume: 32.4 A^3/atom
- Energy above the most stable polymorph in this dataset: 5 meV per atom
- Total energy: -139.51 eV for the cell shown
- Energy of formation from the pure elements: -710 meV per atom
- Total magnetization: 0.0 μB per formula unit

```
36
Lattice="-7.684 8.824 -6.533 -4.057 -6.674 -4.242 -10.152 -6.251 3.499" Properties=species:S:1:pos:R:3 pbc="T T T"
Rb -10.155 2.589 -5.221
Rb -6.688 -3.535 -3.826
Rb -11.739 -6.690 -2.055
Rb -15.205 -0.566 -3.450
Sb -9.413 -6.017 1.817
Sb -14.345 -4.897 -4.614
Sb -12.480 1.916 -9.093
Sb -7.548 0.796 -2.662
Sb -6.516 -3.791 0.900
Sb -17.531 -6.792 -3.942
Sb -15.378 -0.310 -8.176
Sb -4.362 2.691 -3.334
Sb -11.403 -2.066 -5.809
Sb -3.074 -1.597 -1.227
Sb -10.490 -2.035 -1.467
Sb -18.819 -2.504 -6.049
Se -9.928 1.450 -8.659
Se -7.828 -1.348 -1.164
Se -11.965 -5.551 1.383
Se -14.066 -2.753 -6.113
Se -13.157 -10.382 -0.906
Se -11.289 0.258 -2.476
Se -8.737 6.281 -6.371
Se -10.604 -4.359 -4.800
Se -13.736 2.990 -3.952
Se -15.208 -7.950 -3.254
Se -8.157 -7.091 -3.325
Se -6.686 3.849 -4.023
Se -8.600 -4.826 -0.378
Se -16.750 -4.260 -3.772
Se -13.293 0.724 -6.898
Se -5.143 0.159 -3.504
Se -13.312 -3.343 -2.101
Se -17.220 0.207 -6.454
Se -8.581 -0.758 -5.175
Se -4.674 -4.308 -0.822
```



[2]
This record from Materials Project describes a geometry-optimized RbSb3Se5 structure. The functional is PBE-GGA.

Output
- MP2020-corrected energy: -4.143 eV per atom
- Volume: 31.9 A^3/atom
- Energy above the most stable polymorph in this dataset: 0 meV per atom
- Total energy: -139.70 eV for the cell shown
- Energy of formation from the pure elements: -715 meV per atom
- Total magnetization: 0.0 μB per formula unit

```
36
Lattice="4.126 0.000 0.000 0.000 12.330 0.000 0.000 0.000 22.546" Properties=species:S:1:pos:R:3 pbc="T T T"
Rb 1.031 8.022 13.294
Rb 1.031 10.473 2.021
Rb 3.094 4.308 9.252
Rb 3.094 1.857 20.525
Sb 1.031 11.710 15.656
Sb 1.031 6.785 4.383
Sb 3.094 0.620 6.890
Sb 3.094 5.545 18.163
Sb 3.094 9.938 18.759
Sb 3.094 8.557 7.486
Sb 1.031 2.392 3.787
Sb 1.031 3.773 15.060
Sb 3.094 1.338 12.643
Sb 3.094 4.827 1.370
Sb 1.031 10.992 9.903
Sb 1.031 7.503 21.176
Se 3.094 9.834 15.749
Se 3.094 8.660 4.476
Se 1.031 2.496 6.797
Se 1.031 3.669 18.070
Se 3.094 1.628 15.388
Se 3.094 4.537 4.115
Se 1.031 10.702 7.158
Se 1.031 7.793 18.431
Se 1.031 11.854 18.660
Se 1.031 6.641 7.387
Se 3.094 0.476 3.886
Se 3.094 5.689 15.159
Se 3.094 9.560 21.527
Se 3.094 8.935 10.254
Se 1.031 2.770 1.019
Se 1.031 3.395 12.292
Se 1.031 11.635 12.882
Se 1.031 6.860 1.609
Se 3.094 0.695 9.664
Se 3.094 5.470 20.937
```



[3]
This record from Materials Project describes a geometry-optimized Rb4SnSb6 structure. The functional is PBE-GGA.

Output
- MP2020-corrected energy: -3.393 eV per atom
- Volume: 45.3 A^3/atom
- Total energy: -217.02 eV for the cell shown
- Energy of formation from the pure elements: -420 meV per atom
- Total magnetization: 0.0 μB per formula unit

```
66
Lattice="7.655 -13.259 0.000 7.655 13.259 0.000 0.000 0.000 14.742" Properties=species:S:1:pos:R:3 pbc="T T T"
Rb 7.655 4.420 7.378
Rb 7.655 -4.420 7.364
Rb 5.686 -0.402 8.042
Rb 5.160 -8.133 8.042
Rb 12.118 -4.723 8.042
Rb 9.624 0.402 6.699
Rb 10.150 8.133 6.699
Rb 3.191 4.723 6.699
Rb 4.299 -1.275 12.550
Rb 6.610 -8.898 12.550
Rb 12.056 -3.086 12.550
Rb 11.011 1.275 2.192
Rb 8.700 8.898 2.192
Rb 3.254 3.086 2.192
Rb 5.979 2.467 12.988
Rb 10.184 3.945 12.988
Rb 6.801 6.847 12.988
Rb 9.330 -2.467 1.754
Rb 5.126 -3.945 1.754
Rb 8.509 -6.847 1.754
Rb 0.000 0.000 0.000
Rb 0.000 0.000 7.371
Rb 7.655 4.420 3.011
Rb 7.655 -4.420 11.731
Sn 7.230 0.466 3.381
Sn 11.292 6.029 3.381
Sn 4.443 6.764 3.381
Sn 8.080 -0.466 11.360
Sn 4.018 -6.029 11.360
Sn 10.867 -6.764 11.360
Sb 6.767 -2.079 4.659
Sb 6.072 -6.359 4.659
Sb 10.126 -4.821 4.659
Sb 8.543 2.079 10.083
Sb 9.238 6.359 10.083
>>>

**To do**
Could you search the data earlier on for the word "dataset" and retype each line that has it?

**Outcome**
- Energy above the most stable polymorph in this dataset: 5 meV per atom
- Energy above the most stable polymorph in this dataset: 0 meV per atom